Common Mistakes In Succession Planning, and How Can They Be Avoided?
It is observed that Career and Succession planning is still an ad-hoc and gut-driven process in many organizations (especially in mid-size and smaller organizations and surprisingly also in some large organizations). Since there is hardly any scientific process or foundation used in career and/or succession planning, I have observed that business leaders inadvertently commit some common mistakes.
**Someone pasted crystal structures at this point:**
~~~
(1)
This entry pairs a crystal structure of Cu2P8Se3I2 with its simulated X-ray powder pattern. Radiation: Cu Kα (λ = 1.5418 Å). Structure: the GGA-PBE geometry in Alexandria.
Peak positions follow from Bragg's law for the DFT cell and can differ from measured ones.

The 10 most intense peaks (10° ≤ 2θ ≤ 80°), in order of rising 2θ:
2θ/deg	d (Å)	I (rel.)
18.59	4.772	50
22.38	3.972	41
25.79	3.455	43
27.33	3.263	44
27.66	3.225	29
28.18	3.167	35
29.50	3.028	100
30.10	2.969	30
31.84	2.810	34
44.82	2.022	30

Atomic structure:
Cell: 9.570 13.141 13.884 Å, 90.00 90.00 90.00°
Atoms (fractional coordinates):
1 Cu 0.002 0.131 0.250
2 Cu 0.002 0.369 0.750
3 Cu 0.191 0.585 0.750
4 Cu 0.191 0.915 0.250
5 Cu 0.809 0.085 0.750
6 Cu 0.809 0.415 0.250
7 Cu 0.998 0.631 0.250
8 Cu 0.998 0.869 0.750
9 P 0.073 0.698 0.109
10 P 0.073 0.698 0.391
11 P 0.073 0.802 0.609
12 P 0.073 0.802 0.891
13 P 0.177 0.580 0.020
14 P 0.177 0.580 0.480
15 P 0.177 0.920 0.520
16 P 0.177 0.920 0.980
17 P 0.227 0.671 0.613
18 P 0.227 0.671 0.887
19 P 0.227 0.829 0.113
20 P 0.227 0.829 0.387
21 P 0.434 0.746 0.579
22 P 0.434 0.746 0.921
23 P 0.434 0.754 0.079
24 P 0.434 0.754 0.421
25 P 0.566 0.246 0.579
26 P 0.566 0.246 0.921
27 P 0.566 0.254 0.079
28 P 0.566 0.254 0.421
29 P 0.773 0.171 0.613
30 P 0.773 0.171 0.887
31 P 0.773 0.329 0.113
32 P 0.773 0.329 0.387
33 P 0.823 0.080 0.020
34 P 0.823 0.080 0.480
35 P 0.823 0.420 0.520
36 P 0.823 0.420 0.980
37 P 0.927 0.198 0.109
38 P 0.927 0.198 0.391
39 P 0.927 0.302 0.609
40 P 0.927 0.302 0.891
41 Se 0.090 0.250 0.000
42 Se 0.090 0.250 0.500
43 Se 0.383 0.586 0.104
44 Se 0.383 0.586 0.396
45 Se 0.383 0.914 0.604
46 Se 0.383 0.914 0.896
47 Se 0.617 0.086 0.104
48 Se 0.617 0.086 0.396
49 Se 0.617 0.414 0.604
50 Se 0.617 0.414 0.896
51 Se 0.910 0.750 0.000
52 Se 0.910 0.750 0.500
53 I 0.089 0.063 0.750
54 I 0.089 0.437 0.250
55 I 0.277 0.105 0.250
56 I 0.277 0.395 0.750
57 I 0.723 0.605 0.250
58 I 0.723 0.895 0.750
59 I 0.911 0.563 0.750
60 I 0.911 0.937 0.250

=====

(2)
This entry pairs a crystal structure of RbCuPbI4 with its simulated X-ray powder pattern. Radiation: Cu Kα (λ = 1.5418 Å). Structure: the GGA-PBE geometry in Alexandria.
Peak positions follow from Bragg's law for the DFT cell and can differ from measured ones.

The 10 most intense peaks (10° ≤ 2θ ≤ 80°), in order of rising 2θ:
2θ/deg	d (Å)	I (rel.)
21.50	4.133	34
25.13	3.544	60
26.22	3.399	38
26.35	3.382	41
28.40	3.143	69
28.52	3.130	54
28.71	3.110	100
33.88	2.646	34
35.76	2.511	40
42.26	2.139	40

Atomic structure:
Cell: 7.321 8.266 10.050 Å, 90.00 109.79 90.00°
Atoms (fractional coordinates):
1 Rb 0.244 0.250 0.056
2 Rb 0.756 0.750 0.944
3 Cu 0.196 0.750 0.318
4 Cu 0.804 0.250 0.682
5 Pb 0.219 0.250 0.552
6 Pb 0.781 0.750 0.448
7 I 0.022 0.508 0.723
8 I 0.022 0.992 0.723
9 I 0.412 0.750 0.151
10 I 0.445 0.750 0.579
11 I 0.555 0.250 0.421
12 I 0.588 0.250 0.849
13 I 0.978 0.008 0.277
14 I 0.978 0.492 0.277

=====

(3)
~~~
**End of the crystal structures:**
Mistake #1: Assuming that Success at the current level will bring success at the next levels. According to Cerveausys, the leading marketing consultant in Pune, an individual’s success at one level is no guarantee of success at higher levels of responsibility. The reason is simple: the competencies required for success at each level are different. Hence, it is important to separate thinking about how well someone does his or her current job and how well he or she might do a job at a higher responsibility level.
Mistake #2: Assuming that Immediate Managers Are Always the Best Judges of Who Is Promotable. A second mistake is to assume that, for purposes of succession planning, bosses are always the best judges of who is promotable. Though bosses/immediate managers can be better judges of employee competence that is not always true. In a dynamic race of survival sometimes shortsighted and power-centric bosses do not want to see their best people promoted for fear of an inability to replace them or worst they see them as a threat to their own power. Some well-meaning bosses grade people by their own standards—with the result that some individuals who are quite unlike the boss are not considered for promotion. While the opinion of the boss is useful in developing individuals, more objective assessments, such as multi-rater assessment, psychometric tests are excellent to corroborate boss’s assessment.
Mistake #3: Assuming that Promotions Are Rewards. Some employees (especially expert old timers) may have an entitlement mentality in which they feel that long service with an organization must always be rewarded with promotions. However, business decisions need to be based on who will do the best job, not who is “owed” a promotion due to seniority. There is a necessity to educate employees and remind them of the fact that doing jobs at each level requires different competencies. It is necessary to explain that the best way for them to compete is to learn skills required to deliver on next level jobs rather than expecting promotions for past performance with the same level of responsibility.
Mistake #4: Trying to Promote People Too Fast. The strong results-orientation of many organizations today emphasizes quick results. Senior leaders expect to see all the components of a comprehensive succession system in place immediately and employees start moving up on ladder urgently. That is not always realistic. It is advisable to think of implementing systematic succession in a phased way—either from the top down or else starting in specific divisions or locations with the greatest need. The best approach is to have at least a 12 to 24 months systematic progression plan before we promote people to next positions based on employee readiness and criticality of the role.
Mistake #5: Lack of systematic Leadership and Succession Planning Progam- A fifth mistake is to devote no time to work out the leadership model and succession program to identify and groom future leaders. Most of the high potentials are selected based on perceptions about their leadership skills. They are then sent to several leadership development or functional skills development workshops without an idea as to for what positions we would like them to be groomed. Lack of systematic base for learning development also impacts the motivation of high potential employees who are attending disconnected programs without visibility of planned progression.
Mistake #6: Assuming that Everyone Wants a Promotion. A sixth mistake is to assume that everyone wants a promotion. That is not always true today. In many downsized organizations, employees have seen what pressures their bosses have to deal with. Some say “leave me out of that.” Hence, it is unwise to assume that everyone wants a promotion—or even to assume that money will convince everyone. It will not. It is critical to check first as to what each high potential employee aspires to do. For that reason, many organizations launch both a top-down succession planning program and a bottom-up career-planning program to galvanize development efforts both among managers and among individuals.
Mistake#7: Assuming that excellence in technical and functional skills makes one a good leader
In most cases, when bosses find someone exceptionally good at his/her technical or functional domain, an immediate thought is he/she will be the best leader for their group. It will be surprised that there are people who have great pride in their technical/functional proficiency and they love what they do. By promoting these people to general management levels organizations not only deprive them of the work they love but also set them for failure in a leadership role. Creating special positions, lateral and vertical technical career paths with higher salaries, attractive designations with responsibilities of special technical problem-solving at a national or global level can be an effective option.
Mistake # 8: Dumping the Succession Planning responsibility to HR Desk.
Though HR is a custodian of people management philosophy, human resource strategy, and processes, they may or may not have sufficient exposure to business priorities, challenges people working across various levels, technical or functional domain knowledge to review performance and present competency levels. Hence, the responsibility of the succession planning process needs to be seamlessly shared amongst all the 4 important stakeholders of this process- CEO, Head of Departments, human resources services and Employees in the talent pool. A systematic succession planning and leadership development program help in defining the process and non-overlapping roles and responsibilities of these 4 stakeholders to career/succession planning.
Mistake# 9: Expecting the future leaders of the organization to emerge automatically
It is true, that some employees show their spark, come out with a flash of imagination, innovation, courage and get noticed due to their contributions in a challenging situation. However unless and until they are guided for consistency in performance, value aligned behaviors, developing aspirations and drive towards professional learning, they may not be future ready leaders. There are many organizations in which talented employees sparked like bright stars in a dark situation and then faded in due course because they were not groomed for future success.
Mistake# 10: Assuming that you can always buy talent from job market with high pay and get results.
Across various organizations I have repeatedly observed leaders believing this myth; that best money can always buy the best talent. Best packages off course attract better talent however that can’t guarantee that the newly hired leader will be successful in your organization. There are several concerns such as whether the leaders will integrate in your culture, will they be accepted by peers/staff, will they stay loyal to organization at least mid-term, how would you keep other internal aspirants of such leadership position motivated when you recruit externally, will you be able to find such talent within short time etc. Hence having an internal successor to at least 70% of your key positions is a win-win strategy for both organizations as well as employees.
We are CerveauSys Strategic! A result oriented business management consultant & leadership development consultant from Pune and Mumbai. We have helped many organizations from diverse industry segments in creating leaders for tomorrow, making the best of business opportunities and creating profitable and happy workplaces. Do call us! We would love to be your trusted partner in your journey towards your vision.